I've read how to install the EV button, about how it may or may not void parts of the warranty, and I've even see a picture of one installed, but I have yet to find what EV stands for and what it does? How does it improve things?
It stands for "Electric Vehicle" It allows you to delay the ICE startup, so the car runs longer in electric only mode. How it improves things is open to debate, but it certainly makes the car quieter. Some places it is considered to be thoughtful not to disturb your neighbors as you pull in and out of your parking space at home. Beyond that, folks here are trying to figure out when and if it can save some fuel. But, general consensus is that it at least improves things by adding to both the 'cool' and 'geek' factors of the car.
Don't know about the Japan model but the UK model shows the picture. Go to the third topic from the top in the left column "See the Range" Click on "Prius" Click on "Start Viewing" Click on the far right of the steering wheel.... http://www.toyota.co.uk/cgi-bin/toyota/bv/...jsp?id=homepage
Nice... I expected to see the English countryside on the NAV and it's Orange County, CA, home of Toyota USA! Price
How is the EV button installed? Is it something a dealer in the US can do? Anyone have one installed, and, if so, how well does it work? Bob
EV = Electric Vehicle Allows you to run in elctric only mode for a short time (5 Minutes or so) Urs White 04 BC with 6K and EV
## Records of crystals that have nothing to do with the page
=====
Entry 1:
This record from Alexandria describes a relaxed ErTm6Tl crystal. The functional is PBE.

a = 6.2535 Å, b = 6.2535 Å, c = 9.6048 Å
α = 121.09°, β = 121.09°, γ = 95.73°
Sites, in units of the cell vectors:
Er (0.0000, 0.0000, 0.0000)
Tm (0.4546, 0.4546, 0.7958)
Tm (0.7550, 0.1319, 0.2780)
Tm (0.5454, 0.5454, 0.2042)
Tm (0.8681, 0.2450, 0.7220)
Tm (0.2450, 0.8681, 0.7220)
Tm (0.1319, 0.7550, 0.2780)
Tl (0.5000, 0.5000, 0.5000)

Values from the calculation:
Symmetry: No. 12



Entry 2:
This record from Alexandria describes a relaxed Er6Tm3Tl crystal. The functional is PBE.

a = 3.5149 Å, b = 12.6862 Å, c = 15.8434 Å
α = 121.44°, β = 90.00°, γ = 90.00°
Sites, in units of the cell vectors:
Er (0.7500, 0.5964, 0.7114)
Er (0.2500, 0.4036, 0.2886)
Er (0.7500, 0.8582, 0.1025)
Er (0.2500, 0.1418, 0.8975)
Er (0.7500, 0.3815, 0.0997)
Er (0.2500, 0.6185, 0.9003)
Er (0.7500, 0.6621, 0.3069)
Er (0.2500, 0.3379, 0.6931)
Er (0.7500, 0.1175, 0.4773)
Er (0.2500, 0.8825, 0.5227)
Er (0.7500, 0.8793, 0.7165)
Er (0.2500, 0.1207, 0.2835)
Tm (0.7500, 0.3884, 0.8981)
Tm (0.2500, 0.6116, 0.1019)
Tm (0.7500, 0.6177, 0.4952)
Tm (0.2500, 0.3823, 0.5048)
Tm (0.7500, 0.1241, 0.0925)
Tm (0.2500, 0.8759, 0.9075)
Tl (0.7500, 0.1191, 0.6966)
Tl (0.2500, 0.8809, 0.3034)

Values from the calculation:
Symmetry: No. 11
=====
Look under "mods" here on PriusChat for a long discussion of the proceedure. In short, you have to stick a wire into the proper slot on the ECU and connect it to a momentary switch and another wire from the switch to ground. The OEM EV button is NOT available in the US, you'll have to find a source outside the US to order it and ship it to you if you want that. But, any old momentary switch from Radio Shack will do. I plan to do a detailed write up on this when I get my button (coming from Japan) similar to the one I did for the NAV. The kicker for the EV is that there are several options one can use...Coastal Dave wired his Cruise Control cancel to double as his EV switch. Someone mentioned using the high-beam headlight flasher as the switch. You can use a jumper to clip into another wire coming off the ECU for the ground or just thread the wire to a grounded bolt. It'll be tricky to refine this so all options are laid out clearly.
I really don't think putting a EV Button into the dash is going to void the warranty. Say that you are doing it for looks because there is a space for a button and you wanted your car complete. (Just unhook the wire tap to the button before you do any warranty work is all.) Or at least that is what I'm planning on doing. I've already started the process by asking endless questions of my poor toyota tech about what that was supposed to be and could I put in a button that doesn't do anything. BTW, he took copies of all my stuff from Priuschat (checklist, option checklist) so now all Toyota of Berkeley, California Prius owners will have options on how they want their car to work. (no reverse beeper, all doors open on one click, etc.) Xo
Do you know what the part number and price is for the Japanese part? A friend of mine may have someone coming to visit from Japan in a couple of months. I was thinking of maybe asking them to bring the part over for me.
Toyota part number for the Japanese button is 84720-47010 (about $20). It should be attached to a matching 6-pin connector 90980-10964 (about $2). If you can, have your friend bring as many as he can. I guarantee you'll be able to sell them, for a profit even if you're so inclined. The guy on the YG who started the group order was overwhelmed and cut off the number of people at 12 that he'd order for. Dozens more are clamoring.
I don't believe this is why Toyota left the EV button off the US Prius. The car still goes into stealth mode even without the EV button, only it does so when it feels like it. So the legal issue is the same. I have two theories: One is that Toyota felt U.S. drivers would be scared of having to decide when to press the button. Even though you never have to use it. They might have regarded it as a marketing disadvantage. The other is that Toyota wanted to analyze real-world experience in similar markets, and decided randomly which countries would get it, and which not. Then they will analyze owner feedback and perhaps real-world mileage reports as the car is actually used by owners. I'll be really envious if the 2005 comes out with the EV button.
I've suggested that before. What better way to differentiate the "New and Improved" '05 for absolutely no expense than to add some features that are already built in. Every market seems to have something it can gain. I would expect the US to gain at least EV Button, Rear Disc Brakes, and maybe Rearview Camera option. The EV button and Camera can be retro-fitted easily enough for current owners. I will probably wish I had the read discs though.
Between two parts of the text: calculated crystals >
........
(P)
This record from Alexandria describes an optimized crystal structure of AlZn3Co. The functional is GGA-PBE.

Cell lengths 4.5546, 4.5546, 4.5546 Å; angles 90.00, 90.00, 90.00 degrees
Fractional positions:
Al  0.0000  0.0000  0.0000
Zn  0.0000  0.5000  0.5000
Zn  0.5000  0.0000  0.5000
Zn  0.5000  0.5000  0.0000
Co  0.5000  0.5000  0.5000

N(E_F): 2.0 states/eV/cell
total magnetization: 0.000 Bohr magnetons per cell
SG: Pm-3m (221)
crystal system: cubic

---

(Q)
This record from Alexandria describes an optimized crystal structure of AlZn3Co. The functional is GGA-PBE.

Cell lengths 4.7195, 4.7195, 4.7195 Å; angles 90.00, 90.00, 90.00 degrees
Fractional positions:
Al  0.0000  0.0000  0.0000
Zn  0.0000  0.0000  0.5000
Zn  0.0000  0.5000  0.0000
Zn  0.5000  0.0000  0.0000
Co  0.5000  0.5000  0.5000

N(E_F): 7.3 states/eV/cell
total magnetization: 2.021 Bohr magnetons per cell
SG: Pm-3m (221)
crystal system: cubic

---

Which is most stable, and by how much? (P), by 0.560 eV/atom.

---

(P)
This record from Alexandria describes an optimized crystal structure of ZrAl3Co. The functional is GGA-PBE.

Cell lengths 4.4177, 4.4177, 4.4177 Å; angles 90.00, 90.00, 90.00 degrees
Fractional positions:
Zr  0.0000  0.0000  0.0000
Al  0.0000  0.5000  0.5000
Al  0.5000  0.0000  0.5000
Al  0.5000  0.5000  0.0000
Co  0.5000  0.5000  0.5000

N(E_F): 4.3 states/eV/cell
total magnetization: 0.000 Bohr magnetons per cell
SG: Pm-3m (221)
crystal system: cubic

---

(Q)
This record from Alexandria describes an optimized crystal structure of ZrAl3Co. The functional is GGA-PBE.

Cell lengths 5.1350, 5.1350, 5.1350 Å; angles 90.00, 90.00, 90.00 degrees
Fractional positions:
Zr  0.0000  0.0000  0.0000
Al  0.0000  0.0000  0.5000
Al  0.0000  0.5000  0.0000
Al  0.5000  0.0000  0.0000
Co  0.5000  0.5000  0.5000

N(E_F): 7.8 states/eV/cell
total magnetization: 2.354 Bohr magnetons per cell
SG: Pm-3m (221)
crystal system: cubic

---

(R)
This record from Alexandria describes an optimized crystal structure of ZrAl3Co. The functional is GGA-PBE.

Cell lengths 7.8413, 5.2475, 7.8369 Å; angles 90.00, 99.40, 90.00 degrees
Fractional positions:
Zr  0.1244  0.1196  0.2113
Zr  0.1244  0.3804  0.7113
Zr  0.8756  0.6196  0.2887
Zr  0.8756  0.8804  0.7887
Al  0.1289  0.6383  0.0550
Al  0.1289  0.8617  0.5550
Al  0.2885  0.5947  0.3611
Al  0.2885  0.9053  0.8611
Al  0.3967  0.1673  0.5530
Al  0.3967  0.3327  0.0530
Al  0.6033  0.6673  0.9470
Al  0.6033  0.8327  0.4470
Al  0.7115  0.0947  0.1389
Al  0.7115  0.4053  0.6389
Al  0.8711  0.1383  0.4450
Al  0.8711  0.3617  0.9450
Co  0.4452  0.6421  0.6563
Co  0.4452  0.8579  0.1563
Co  0.5548  0.1421  0.8437
Co  0.5548  0.3579  0.3437

N(E_F): 8.2 states/eV/cell
total magnetization: 0.000 Bohr magnetons per cell
SG: P2_1/c (14)
crystal system: monoclinic

---

Which is most stable, and by how much? (R), by 0.270 eV/atom.

=====

VASP calculation (SCAN) on a crystal of Li4Nb3Ni3Te2O16 relaxed with PBEsol.

Output
........
Back to the text >
Actually, my understanding as to why they left the EV button out was that there was some EPA rules that it violated . Kinda funny that there are rules in place that didn't anticipate Hybrid technology and now prevent a good feature.
# What comes next are materials data, not part of the text
/*
1.
# La5CeY12 | the Alexandria database | PBE | optimized geometry
data_La5CeY12
_cell_length_a 11.753
_cell_length_b 10.553
_cell_length_c 5.966
_cell_angle_alpha 89.33
_cell_angle_beta 89.85
_cell_angle_gamma 56.16
_symmetry_space_group_name_H-M 'P 1'
_symmetry_Int_Tables_number 1
_symmetry_space_group_name_Hall 'P 1'
loop_
_atom_site_label
_atom_site_type_symbol
_atom_site_fract_x
_atom_site_fract_y
_atom_site_fract_z
Y1 Y 0.007 0.333 0.957
Y2 Y 0.682 0.000 0.949
Y3 Y 0.156 0.333 0.457
Y4 Y 0.993 0.667 0.043
Y5 Y 0.172 0.000 0.553
Y6 Y 0.828 0.000 0.447
Y7 Y 0.488 0.669 0.458
Y8 Y 0.660 0.332 0.042
Y9 Y 0.844 0.667 0.543
Y10 Y 0.318 0.000 0.051
Y11 Y 0.340 0.668 0.958
Y12 Y 0.512 0.331 0.542
La1 La 0.337 0.327 0.999
La2 La 0.500 0.000 0.500
La3 La 0.168 0.665 0.500
La4 La 0.832 0.335 0.500
La5 La 0.663 0.673 0.001
Ce1 Ce 0.000 0.000 0.000
# calculated density = 5.14 g/cm3
# total magnetic moment = 0.06 μB per atom
# calculated formation energy = 0.10 eV per atom
# symmetry = P-1, No. 2
# Fermi-level density of states = 37.090 states/eV/f.u.



2.
# UPa3N4 | the Alexandria database | PBE | optimized geometry
data_UPa3N4
_cell_length_a 6.037
_cell_length_b 6.045
_cell_length_c 6.999
_cell_angle_alpha 90.00
_cell_angle_beta 90.00
_cell_angle_gamma 109.60
_symmetry_space_group_name_H-M 'P 1'
_symmetry_Int_Tables_number 1
_symmetry_space_group_name_Hall 'P 1'
loop_
_atom_site_label
_atom_site_type_symbol
_atom_site_fract_x
_atom_site_fract_y
_atom_site_fract_z
N1 N 0.499 0.248 0.374
N2 N 0.000 0.752 0.876
N3 N 0.001 0.752 0.374
N4 N 0.999 0.248 0.626
N5 N 0.501 0.752 0.626
N6 N 0.500 0.752 0.124
N7 N 0.000 0.248 0.124
N8 N 0.500 0.248 0.876
Pa1 Pa 0.250 0.500 0.374
Pa2 Pa 0.750 0.000 0.374
Pa3 Pa 0.250 0.500 0.876
Pa4 Pa 0.750 0.500 0.124
Pa5 Pa 0.250 0.000 0.626
Pa6 Pa 0.750 0.500 0.626
U1 U 0.250 0.000 0.123
U2 U 0.750 0.000 0.877
# calculated density = 13.63 g/cm3
# total magnetic moment = 0.16 μB per atom
# raw formation energy = -1.546 eV per atom
# symmetry = P2/c, No. 13
# Fermi-level density of states = 9.461 states/eV/f.u.



3.
# PuNi2Pt2 | the Alexandria database | PBE | optimized geometry
data_PuNi2Pt2
_cell_length_a 3.861
_cell_length_b 3.861
_cell_length_c 11.683
_cell_angle_alpha 99.51
_cell_angle_beta 99.51
_cell_angle_gamma 90.00
_symmetry_space_group_name_H-M 'P 1'
_symmetry_Int_Tables_number 1
_symmetry_space_group_name_Hall 'P 1'
loop_
_atom_site_label
_atom_site_type_symbol
_atom_site_fract_x
_atom_site_fract_y
_atom_site_fract_z
Ni1 Ni 0.750 0.250 0.500
Ni2 Ni 0.250 0.750 0.500
Ni3 Ni 0.073 0.073 0.146
Ni4 Ni 0.927 0.927 0.854
Pu1 Pu 0.381 0.381 0.761
Pu2 Pu 0.619 0.619 0.239
Pt1 Pt 0.178 0.178 0.355
Pt2 Pt 0.000 0.500 0.000
Pt3 Pt 0.500 0.000 0.000
Pt4 Pt 0.822 0.822 0.645
# calculated density = 14.74 g/cm3
# total magnetic moment = 0.76 μB per atom
# calculated formation energy = -0.34 eV per atom
# symmetry = I4/mmm, No. 139
# Fermi-level density of states = 13.571 states/eV/f.u.



4.
*/
Do you think the general manager of a Toyota dealer can get a hold of what kind of improvements will be on the '05? Thanks Brian
It would surprise me if they told dealerships anything more than a day or two before going public. It would just be too likely that one of those thousands of dealerships would leak the information. They'll tell us (the public) when they're ready. I just hope that, if they come out with an EV button, they make it available as an approved dealer retro-fit so I can get one and have the dealer install it with the warranty intact.
There *is* one important question: if EV mode is not harmful to the car, why wouldn't Toyota make it the Standard Mode so the poor American consumers wouldn't have to struggle with push-it-or-not button questions? I have yet to see a downside to EV mode mentioned, yet here we are, forced into trying to enable it. Supposedly, the car will go on battery until a need to recharge is determined. Go too fast, over 35MPH I believe, and the ICE starts anyway. No fear to the oil companies: gas will eventually be burned. None of this makes SHV (Standard Hybrid Vehicle) mode look better, but it's what Toyota gave us. Just seems weird...